Can you recall the exact moment you realized you wanted to become a beekeeper? For Jenean “Dolly” Neely, beekeeping is a saving grace, her catalyst in doing better for the world of living things. Dolly is a farmer who works to better the life of domestic farm animals, an array of exotic birds, and eventually, the lives of helpless rodents like Possums once she earns her license. Dolly is a one-of-a-kind farmer and beekeeper.
Dolly grew up in the rural acres of Clarion, Pennsylvania, the same state in which she farms now. With her mother in Korea, Dolly lives as a successful beekeeper on a large plot to make for 88 acres of grass, sunflowers, and wide range of animals. She harvests her own honey which is available online along with other honeybee byproducts like beeswax balms and body care products. Not too long after making her big break as a cast member of 2004’s Survivor in Vanuatu, Dolly took over her grandfather’s farm after his passing. Today, the farm thrives as it inhabits a variety of chickens, turkeys, ducks, parrots, several hives of honeybees, and more. This week, we made our way out to Pennsylvania to Dolly’s own farm, Birds Eye View Farm in Jackson Center, Pennsylvania to learn more about her unique journey as a beekeeper:
(What comes next are records of crystals, not part of the entry)
+++
# La3Tb2Dy2
Theoretical powder diffraction line list, Cu Kα. Input: a DFT-relaxed cell (GGA-PBE, Alexandria).
Neutral-atom scattering factors, no anomalous dispersion.

Structure:
```
data_La3Tb2Dy2
_chemical_formula_sum 'La6 Tb4 Dy4'
_cell_length_a 17.790
_cell_length_b 3.533
_cell_length_c 8.660
_cell_angle_alpha 90.00
_cell_angle_beta 118.57
_cell_angle_gamma 90.00
_space_group_name_H-M_alt 'C 1 2/m 1'
_space_group_IT_number 12
loop_
_space_group_symop_operation_xyz
'x,y,z'
'-x,-y,-z'
'-x,y,-z'
'x,-y,z'
'x+1/2,y+1/2,z'
'-x+1/2,-y+1/2,-z'
'-x+1/2,y+1/2,-z'
'x+1/2,-y+1/2,z'
loop_
_atom_site_label
_atom_site_type_symbol
_atom_site_fract_x
_atom_site_fract_y
_atom_site_fract_z
La1 La 0.000 0.000 0.000
La2 La 0.214 0.000 0.297
Tb1 Tb 0.064 0.500 0.410
Dy1 Dy 0.142 0.000 0.822
```

Most intense lines, 10° ≤ 2θ ≤ 90°, sorted by position:
| two_theta | d (Å) | Rel. int. |
| --- | --- | --- |
| 27.3 | 3.271 | 32 |
| 29.6 | 3.019 | 52 |
| 30.5 | 2.928 | 100 |
| 30.7 | 2.914 | 68 |
| 31.6 | 2.833 | 60 |
| 33.2 | 2.695 | 69 |
| 35.7 | 2.512 | 38 |
| 52.5 | 1.744 | 23 |
| 53.8 | 1.705 | 19 |
| 61.3 | 1.512 | 39 |

=====

Structure and simulated X-ray powder pattern of SrLi2Np2O7 (a cell relaxed with PBE; Cu Ka).
Intensities are scaled so that the largest is 100.

Cell and atoms:
abc: 4.2706 4.2706 18.7667
angles: 90.00 90.00 90.00
Space group I4/mmm (No. 139)
Unique sites:
Sr 0.0000 0.0000 0.0000 x2
Li 0.0000 0.5000 0.2500 x4
Np 0.0000 0.0000 0.3856 x4
O 0.0000 0.0000 0.2774 x4
O 0.0000 0.0000 0.5000 x2
O 0.0000 0.5000 0.1011 x8

Principal peaks in the range 10° ≤ 2θ ≤ 90°, in order of rising 2θ:
2θ (°)  Rel. int.  h k l
18.9  53  0 0 4
21.3  99  1 0 1
25.3  99  1 0 3
29.6  77  1 1 0
31.7  100  1 0 5
42.3  49  2 0 0
48.6  32  0 0 10
49.2  32  1 1 8
49.9  32  2 1 3
53.9  48  2 1 5

***

Structure and simulated X-ray powder pattern of Li2NpTcO6 (a cell relaxed with PBE; Cu Ka).
Intensities are scaled so that the largest is 100.

Cell and atoms:
abc: 10.4558 8.3574 5.0275
angles: 90.00 90.82 90.00
Space group C2/c (No. 15)
Unique sites:
Li 0.2352 0.1147 0.3144 x8
Np 0.0000 0.1464 0.7500 x4
Tc 0.0000 0.4266 0.2500 x4
O 0.1066 0.3907 0.9168 x8
O 0.1116 0.2805 0.4343 x8
O 0.1169 0.0364 0.0326 x8

Principal peaks in the range 10° ≤ 2θ ≤ 90°, in order of rising 2θ:
2θ (°)  Rel. int.  h k l
17.0  100  2 0 0
22.2  15  1 1 -1
22.4  18  1 1 1
27.8  42  0 2 1
32.6  33  2 2 -1
32.9  41  2 2 1
33.3  19  1 3 0
44.5  14  4 2 -1
44.9  14  4 2 1
58.9  13  1 5 1

***

Structure and simulated X-ray powder pattern of Li4Np3TlO12 (a cell relaxed with PBE; Cu Ka).
Intensities are scaled so that the largest is 100.

Cell and atoms:
abc: 11.4669 11.4669 8.0950
angles: 90.00 90.00 120.00
Space group R32 (No. 155, hexagonal axes)
Unique sites:
Li 0.0000 0.0000 0.0000 x3
Li 0.0000 0.4374 0.0000 x9
Np 0.0000 0.5596 0.5000 x9
Tl 0.0000 0.0000 0.5000 x3
O 0.0000 0.6084 0.0000 x9
O 0.0000 0.8330 0.0000 x9
O 0.0676 0.2417 0.6955 x18
+++
(Back to the entry)
What inspired you to get into beekeeping?
• Attached: materials data:
<<<
Theoretical powder X-ray diffraction pattern of CsHfCuSeS2 for Cu Ka, from DFT lattice parameters and positions (PBE).
No peak broadening, texture or thermal motion is included.

Principal peaks in the range 10 to 90 degrees two-theta, by angle:
Position (°2θ), d/Å, Rel. int.
18.8, 4.726, 24.8
20.0, 4.443, 34.3
22.3, 3.986, 100.0
29.3, 3.047, 17.4
30.1, 2.967, 25.2
33.6, 2.671, 28.8
35.7, 2.517, 24.1
40.7, 2.219, 44.8
42.5, 2.128, 29.4
45.5, 1.993, 17.5
46.8, 1.940, 14.6
59.2, 1.562, 16.2

Crystal structure
```
data_CsHfCuSeS2
_chemical_formula_sum 'Cs2 Hf2 Cu2 Se2 S4'
_symmetry_space_group_name_H-M 'P 1'
_symmetry_Int_Tables_number 1
_symmetry_space_group_name_Hall 'P 1'
_cell_length_a 10.0661
_cell_length_b 3.9860
_cell_length_c 9.4521
_cell_angle_alpha 90.00
_cell_angle_beta 90.00
_cell_angle_gamma 90.00
loop_
_atom_site_label
_atom_site_type_symbol
_atom_site_fract_x
_atom_site_fract_y
_atom_site_fract_z
Cs1 Cs 0.2500 0.0000 0.0490
Cs2 Cs 0.7500 0.0000 0.9510
Hf1 Hf 0.0000 0.0000 0.5000
Hf2 Hf 0.5000 0.0000 0.5000
Cu1 Cu 0.2500 0.0000 0.6578
Cu2 Cu 0.7500 0.0000 0.3422
Se1 Se 0.2500 0.0000 0.4094
Se2 Se 0.7500 0.0000 0.5906
S1 S 0.0515 0.0000 0.7528
S2 S 0.4485 0.0000 0.7528
S3 S 0.5515 0.0000 0.2472
S4 S 0.9485 0.0000 0.2472
```

=====

Theoretical powder X-ray diffraction pattern of DyHoNO for Cu Ka, from DFT lattice parameters and positions (PBE).
No peak broadening, texture or thermal motion is included.

Principal peaks in the range 10 to 90 degrees two-theta, by angle:
Position (°2θ), d/Å, Rel. int.
26.0, 3.424, 42.1
32.0, 2.797, 100.0
37.1, 2.425, 21.9
45.9, 1.978, 41.5
46.0, 1.975, 11.8
57.1, 1.614, 20.5
60.4, 1.532, 30.7
63.7, 1.462, 14.8
76.1, 1.251, 12.0
76.2, 1.249, 5.9
82.0, 1.175, 7.5
84.9, 1.143, 6.8

Crystal structure
```
data_DyHoNO
_chemical_formula_sum 'Dy2 Ho2 N2 O2'
_symmetry_space_group_name_H-M 'P 1'
_symmetry_Int_Tables_number 1
_symmetry_space_group_name_Hall 'P 1'
_cell_length_a 4.8491
_cell_length_b 3.9494
_cell_length_c 6.8550
_cell_angle_alpha 90.00
_cell_angle_beta 90.00
_cell_angle_gamma 90.00
loop_
_atom_site_label
_atom_site_type_symbol
_atom_site_fract_x
_atom_site_fract_y
_atom_site_fract_z
Dy1 Dy 0.2500 0.0000 0.1650
Dy2 Dy 0.7500 0.0000 0.8350
Ho1 Ho 0.2500 0.5000 0.6672
Ho2 Ho 0.7500 0.5000 0.3328
N1 N 0.2500 0.5000 0.3372
N2 N 0.7500 0.5000 0.6628
O1 O 0.2500 0.0000 0.8238
O2 O 0.7500 0.0000 0.1762
```

=====

Theoretical powder X-ray diffraction pattern of Tl2Ag2Se3S for Cu Ka, from DFT lattice parameters and positions (PBE).
No peak broadening, texture or thermal motion is included.

Principal peaks in the range 10 to 90 degrees two-theta, by angle:
Position (°2θ), d/Å, Rel. int.
24.9, 3.571, 100.0
25.1, 3.548, 99.8
28.8, 3.097, 18.3
41.2, 2.190, 45.3
41.4, 2.183, 22.2
41.5, 2.176, 44.7
41.8, 2.162, 22.0
48.8, 1.868, 47.8
49.0, 1.858, 15.8
49.2, 1.851, 15.5
49.5, 1.841, 15.6
75.1, 1.264, 14.5

Crystal structure
```
data_Tl2Ag2Se3S
_chemical_formula_sum 'Tl2 Ag2 Se3 S1'
>>>
- "I wanted to do something sustainable that also has a lot of different opportunities. It’s a major industry and it’s not just honey. I got two hives to start with which I got from another bigtime beekeeper. I offered to help him. I stayed with him for five years and did an apprenticeship and that turned into this."
What's your favorite part about being a beekeeper?
- "I love the mentorship part of it because we need more people to become interested but I also think it can be intimidating; they want bees but they're afraid. Bees have been a saving grace for me especially with being all alone. Getting into bees opened up opportunities to meet people and you’re constantly learning with bees."
-- Here the entry breaks off for crystal structures --
********
For Ba2AlFe2F11, a GGA+U-relaxed structure gives the simulated powder X-ray diffraction pattern in this record (Cu Kα, 1.54184 Å).

Structural model:
```
data_Ba2AlFe2F11
_symmetry_space_group_name_H-M 'P 1'
_symmetry_Int_Tables_number 1
_symmetry_space_group_name_Hall 'P 1'
_cell_length_a 7.449
_cell_length_b 7.449
_cell_length_c 14.537
_cell_angle_alpha 90.00
_cell_angle_beta 90.00
_cell_angle_gamma 120.00
loop_
_atom_site_label
_atom_site_type_symbol
_atom_site_fract_x
_atom_site_fract_y
_atom_site_fract_z
Ba1 Ba 0.143 0.015 0.000
Ba2 Ba 0.511 0.163 0.465
Ba3 Ba 0.651 0.489 0.799
Ba4 Ba 0.837 0.349 0.132
Ba5 Ba 0.872 0.857 0.333
Ba6 Ba 0.985 0.128 0.667
Al1 Al 0.178 0.502 0.875
Al2 Al 0.324 0.822 0.208
Al3 Al 0.498 0.676 0.542
Fe1 Fe 0.134 0.435 0.392
Fe2 Fe 0.301 0.866 0.725
Fe3 Fe 0.340 0.316 0.219
Fe4 Fe 0.565 0.699 0.058
Fe5 Fe 0.684 0.024 0.886
Fe6 Fe 0.976 0.660 0.553
F1 F 0.041 0.134 0.180
F2 F 0.055 0.756 0.191
F3 F 0.080 0.407 0.986
F4 F 0.093 0.959 0.514
F5 F 0.148 0.733 0.874
F6 F 0.220 0.543 0.247
F7 F 0.244 0.298 0.858
F8 F 0.254 0.244 0.358
F9 F 0.257 0.572 0.753
F10 F 0.267 0.415 0.541
F11 F 0.315 0.743 0.086
F12 F 0.323 0.780 0.580
F13 F 0.328 0.920 0.320
F14 F 0.358 0.155 0.693
F15 F 0.403 0.389 0.081
F16 F 0.423 0.087 0.163
F17 F 0.428 0.685 0.419
F18 F 0.457 0.677 0.913
F19 F 0.527 0.164 0.925
F20 F 0.585 0.852 0.208
F21 F 0.593 0.672 0.653
F22 F 0.611 0.015 0.748
F23 F 0.637 0.473 0.258
F24 F 0.665 0.577 0.496
F25 F 0.702 0.945 0.525
F26 F 0.756 0.010 0.024
F27 F 0.797 0.642 0.026
F28 F 0.836 0.363 0.592
F29 F 0.845 0.203 0.359
F30 F 0.866 0.907 0.847
F31 F 0.913 0.335 0.829
F32 F 0.985 0.597 0.415
F33 F 0.990 0.746 0.691
```

Most intense lines, 10° ≤ 2θ ≤ 90°, in order of rising 2θ:
- 22.95°, I = 100
- 24.67°, I = 78
- 26.90°, I = 90
- 28.18°, I = 67
- 28.34°, I = 69
- 30.30°, I = 62
- 38.96°, I = 72
- 48.91°, I = 47

=====

No. 1
Structure and theoretical PXRD pattern of Tb6PmDy2Ho (DFT lattice parameters and positions (GGA-PBE); copper Kα).

Crystal structure
```
data_Tb6PmDy2Ho
_space_group_name_H-M_alt 'P 1'
_space_group_IT_number 1
_space_group_name_Hall 'P 1'
_cell_length_a 8.790
_cell_length_b 8.790
_cell_length_c 9.573
_cell_angle_alpha 93.84
_cell_angle_beta 93.84
_cell_angle_gamma 117.82
loop_
_atom_site_label
_atom_site_type_symbol
_atom_site_fract_x
_atom_site_fract_y
_atom_site_fract_z
_atom_site_occupancy
Tb1 Tb 0.017 0.567 0.184 1
Tb2 Tb 0.122 0.750 0.556 1
Tb3 Tb 0.250 0.878 0.944 1
Tb4 Tb 0.292 0.507 0.380 1
Tb5 Tb 0.433 0.983 0.316 1
Tb6 Tb 0.493 0.708 0.120 1
Tb7 Tb 0.507 0.292 0.880 1
Tb8 Tb 0.567 0.017 0.684 1
Tb9 Tb 0.708 0.493 0.620 1
Tb10 Tb 0.750 0.122 0.056 1
Tb11 Tb 0.878 0.250 0.444 1
Tb12 Tb 0.983 0.433 0.816 1
Pm1 Pm 0.024 0.976 0.250 1
Pm2 Pm 0.976 0.024 0.750 1
Dy1 Dy 0.199 0.303 0.045 1
Dy2 Dy 0.303 0.199 0.545 1
Dy3 Dy 0.697 0.801 0.455 1
Dy4 Dy 0.801 0.697 0.955 1
Ho1 Ho 0.409 0.591 0.750 1
Ho2 Ho 0.591 0.409 0.250 1
```

Top 10 peaks for 5° ≤ 2θ ≤ 70°, by angle:
********
What are you currently working on during this part of the beekeeping season?
- "My biggest thing right now is getting my bees ready to go down to Georgia in November to do pollination in farmers fields of blueberries and watermelons. It’s been a little bit of a transition for me because there’s so many parts to the hive to transport. The good thing is that the bees don’t seem to be all that bothered."
What species of honeybees do you keep?
- "Carniolan Honey bees."
- "It has a more richer flavor with a brighter golden yellow appearance."
- "Close to 70 but on this specific farm, there's roughly 40. The remaining are in the third field by the sunflowers."
- "Some farmers can just raise their lambs, slaughter them, and not think twice, and then there's others that say things like “' We bottle fed that one, thats a pet now'" and that’s me. That’s the type of farmer I am.”
- "Wildlife Rehabilitation License."